_What to do_
Work out how many lines further below have the word "C2H3ClS" in them; a number is enough, please.
_File_
/*
A:
This record from the Open Molecules 2025 dataset describes a molecular structure, C3H3FNaO3. The level of theory is the ωB97M-V functional and the def2-TZVPD basis.

HOMO-LUMO gap (spin up / spin down): 5.847 / 8.572 eV
spin multiplicity: 2
⟨S²⟩: 0.7531

Positions of all 11 atoms, in Å:
H: 0.7914 -2.1812 -1.5871
O: -0.3823 -1.6736 0.0460
O: 0.4283 0.4615 -0.7493
O: -1.9354 -0.0240 0.1434
C: 0.8993 -1.7999 -0.5611
C: 1.4648 -0.3768 -0.6043
C: -1.0500 -0.6241 -0.4746
H: 1.5022 -2.4793 0.0479
F: 2.1216 -0.1374 0.6378
H: 2.2446 -0.2541 -1.3724
Na: -0.9011 2.0401 0.4108

***

B:
This record from the Open Molecules 2025 dataset describes a molecular structure, C3H3FNaO3. The level of theory is the ωB97M-V functional and the def2-TZVPD basis.

HOMO-LUMO gap (spin up / spin down): 5.337 / 7.730 eV
spin multiplicity: 2
⟨S²⟩: 0.7542

Positions of all 11 atoms, in Å:
C: -1.5164 0.8368 -0.2055
C: -1.7324 -0.2936 -1.1334
F: -2.2705 0.7018 0.9337
H: -1.4242 1.8619 -0.5790
H: -1.2703 -0.1621 -2.1145
H: -2.6128 -0.9167 -0.9643
O: -0.3929 -1.4848 -0.0900
C: 0.5034 -0.6772 0.3340
O: 1.7293 -0.9125 0.3774
O: 0.1661 0.6402 0.2061
Na: 2.3684 1.2598 0.5321

***

Of them, B has the lowest stability.

***

A:
This record from the Open Molecules 2025 dataset describes 2 unconnected molecules or ions with the total composition ClH3N2OS. The level of theory is the ωB97M-V functional and the def2-TZVPD basis.

HOMO-LUMO gap: 10.631 eV
spin multiplicity: 1

Positions of all 8 atoms, in Å:
N: 2.9648 -0.5918 -0.4005
N: 0.5493 0.5546 -0.6751
O: 1.0109 -1.7411 0.6343
S: 1.4584 -0.5249 -0.0914
Cl: -3.5864 -0.4461 -0.0733
H: 3.3510 0.1678 -0.9491
H: -0.3662 0.6856 -0.4919
H: -3.5041 -1.0626 -1.0969

***

B:
This record from the Open Molecules 2025 dataset describes 2 unconnected molecules or ions with the total composition ClH3N2OS. The level of theory is the ωB97M-V functional and the def2-TZVPD basis.

HOMO-LUMO gap (spin up / spin down): 7.039 / 6.311 eV
spin multiplicity: 1

Positions of all 8 atoms, in Å:
N: -0.1864 -1.2181 -1.1140
N: -0.6838 0.1445 1.0639
O: 1.5804 -1.0371 0.7041
S: 0.5205 -0.4101 0.0302
Cl: 1.4682 2.1496 -1.3846
H: -0.6091 -0.7822 -1.8317
H: -0.5161 0.7830 1.8315
H: -1.5738 0.3704 0.7007

***

Of them, B has the lowest stability.

***

A:
This record from the Open Molecules 2025 dataset describes a single C2H3ClS molecule. The level of theory is the ωB97M-V functional and the def2-TZVPD basis.

HOMO-LUMO gap (spin up / spin down): 7.871 / 7.045 eV
spin multiplicity: 1

Positions of all 7 atoms, in Å:
C: -0.6940 0.8226 0.1760
C: 2.3532 -0.6826 -0.0447
S: 0.9812 0.6121 0.1013
Cl: 3.8734 0.0950 -0.0923
H: -1.4372 0.0296 0.3990
H: -0.8912 1.7718 -0.0793
H: 2.2443 -1.0975 1.0137

***

B:
This record from the Open Molecules 2025 dataset describes a single C2H3ClS molecule. The level of theory is the ωB97M-V functional and the def2-TZVPD basis.

HOMO-LUMO gap (spin up / spin down): 8.107 / 6.426 eV
spin multiplicity: 1

Positions of all 7 atoms, in Å:
C: -0.4850 0.0983 0.3807
C: 0.6701 0.0980 -0.4669
S: -1.5470 -1.3720 -0.0988
Cl: 2.1082 -0.4948 0.0806
H: -0.3829 0.0804 1.4368
H: -1.0352 1.0428 0.1535
H: 0.6718 0.5474 -1.4858

***

Of them, A has the lowest stability.

***

A:
This record from the Open Molecules 2025 dataset describes a molecular structure, C43H42N5P2SW. The level of theory is the ωB97M-V functional and the def2-TZVPD basis.

HOMO-LUMO gap: 6.986 eV
spin multiplicity: 1
charge: +1

Positions of all 94 atoms, in Å:
W: 0.1324 -0.0403 -0.0144
C: 1.7098 0.9294 4.2884
C: 0.7704 1.4488 3.2395
C: -0.5965 1.5668 3.4974
C: -1.4794 1.9705 2.5127
C: -1.0144 2.2823 1.2393
C: 0.3668 2.2673 0.9799
C: 1.2428 1.8286 1.9890
H: 1.7648 -0.1608 4.2407
H: 1.3760 1.2016 5.2889
H: 2.7195 1.3113 4.1444
H: -0.9670 1.3299 4.4880
H: -2.5353 2.0590 2.7278
H: -1.6969 2.6348 0.4771
H: 0.7555 2.7287 0.0775
H: 2.3085 1.8092 1.7952
C: -2.5042 -7.0285 0.4765
S: -1.7258 -6.9643 -1.1513
C: -2.8702 -5.8857 -2.0560
C: -2.4176 -4.4308 -2.1710
*/
_Done_
2